Did Enrico Macias call for the killing of MPs who

-- Inserted here: records of crystals --
- - -
A relaxed Ce2Ga12Ni crystal. Source: the Materials Project database, functional PBE.

abc: 6.041 6.041 15.565
angles: 90.00 90.00 90.00
Element x y z (fractional)
Ce 0.250 0.750 0.243
Ce 0.250 0.750 0.757
Ce 0.750 0.250 0.243
Ce 0.750 0.250 0.757
Ga 0.000 0.000 0.084
Ga 0.000 0.000 0.916
Ga 0.000 0.500 0.084
Ga 0.000 0.500 0.916
Ga 0.074 0.574 0.427
Ga 0.074 0.926 0.573
Ga 0.250 0.250 0.182
Ga 0.250 0.250 0.339
Ga 0.250 0.250 0.661
Ga 0.250 0.250 0.818
Ga 0.426 0.574 0.573
Ga 0.426 0.926 0.427
Ga 0.500 0.000 0.084
Ga 0.500 0.000 0.916
Ga 0.500 0.500 0.084
Ga 0.500 0.500 0.916
Ga 0.574 0.074 0.573
Ga 0.574 0.426 0.427
Ga 0.750 0.750 0.182
Ga 0.750 0.750 0.339
Ga 0.750 0.750 0.661
Ga 0.750 0.750 0.818
Ga 0.926 0.074 0.427
Ga 0.926 0.426 0.573
Ni 0.250 0.750 0.000
Ni 0.750 0.250 0.000

## Properties
* SG: P4/nbm, No. 125
* formation enthalpy at 0 K: -0.39 eV per atom

----------

A plane-wave DFT calculation with PBE was carried out for crystalline LaScO3 at its relaxed geometry.

```
LaScO3
1.0
4.079 0.000 0.000
0.000 4.079 0.000
0.000 0.000 4.079
La Sc O
1 1 3
direct
0.000 0.000 0.000
0.500 0.500 0.500
0.000 0.500 0.500
0.500 0.000 0.500
0.500 0.500 0.000
```

Computed properties:
**Crystal system**: cubic
**Calculated formation energy**: -3746 meV per atom
**SG**: Pm-3m, No. 221
**E (MP2020)**: -8.9690 eV per atom

A plane-wave DFT calculation with PBE was carried out for crystalline La2Sc2O5 at its relaxed geometry.

```
La2Sc2O5
1.0
-1.327 2.678 8.539
-7.992 1.519 3.958
4.543 -5.994 -5.027
La Sc O
4 4 10
direct
0.126 0.624 0.498
0.874 0.372 0.498
0.626 0.124 0.498
0.374 0.872 0.498
0.000 0.006 0.006
0.500 0.506 0.006
0.263 0.269 0.032
0.737 0.769 0.007
0.212 0.721 0.995
0.788 0.783 0.509
0.226 0.221 0.509
0.774 0.283 0.995
0.218 0.159 0.126
0.782 0.907 0.941
0.533 0.659 0.941
0.467 0.407 0.126
0.038 0.563 0.100
0.962 0.063 0.525
```

Computed properties:
**Crystal system**: orthorhombic
**Calculated formation energy**: -3570 meV per atom
**SG**: Ima2, No. 46
**E (MP2020)**: -8.8228 eV per atom

A plane-wave DFT calculation with PBE was carried out for crystalline LaScO3 at its relaxed geometry.

```
LaScO3
1.0
-2.947 -1.469 -4.660
2.228 -5.387 0.289
-6.251 -2.334 4.688
La Sc O
4 4 12
direct
0.988 0.045 0.750
0.488 0.455 0.250
0.512 0.545 0.750
0.012 0.955 0.250
0.000 0.500 0.500
0.500 0.000 0.500
0.500 0.000 0.000
0.000 0.500 0.000
0.704 0.297 0.555
0.204 0.203 0.445
0.796 0.797 0.945
0.296 0.703 0.055
0.296 0.703 0.445
0.796 0.797 0.555
0.204 0.203 0.055
0.704 0.297 0.945
0.898 0.535 0.250
0.398 0.965 0.750
0.602 0.035 0.250
0.102 0.465 0.750
```

Computed properties:
**Crystal system**: orthorhombic
**Calculated formation energy**: -3951 meV per atom
**SG**: Pnma, No. 62
**E (MP2020)**: -9.1730 eV per atom

A plane-wave DFT calculation with PBE was carried out for crystalline LaY3Sc4O12 at its relaxed geometry.

```
LaY3Sc4O12
1.0
8.030 0.000 0.000
0.000 5.530 0.000
0.000 0.002 5.790
La Y Sc O
1 3 4 12
direct
0.500 0.514 0.447
- - -

Did Enrico Macias call for the killing of MPs who do not support Israel? – Patriotic Algeria

Enrico Macias Israel Gaza

Enrico Macias. DR

By Abdelkader S. – “We have to physically eliminate them.” This is how Enrico Macias lost his temper when he confronted the racist presenter Pascal Praud on the set of CNews, a propaganda channel dedicated exclusively to the defense of Zionism and Islamophobia. The French singer is particularly angry at the deputies of La France insoumise (LFI), who refuse to tolerate Israel’s serious human rights violations in Gaza and whose position contrasts with the unconditional support of the criminal regime in Tel Aviv and the influence of the political class the dominant French media.

Enrico Macias, who dreams of visiting his homeland before his death, reduces with every day the chance that this wish will come true. Last March, the Jewish artist, originally from Constantine, reiterated his desire to return to Algeria. In the TV5 Monde program “L’invite”, the interpreter of “Children from all countries” – apparently with the exception of those from Gaza, who are being massacred by the Israeli terrorist army without moving – said that “we remember this “We must remember where we come from.” Therefore, we must remember the past in order to better correct the future, because the past gives us lessons.” Lessons that he apparently has not learned even at the age of 84.

However, Cheikh Raymond’s son-in-law was very close to death and knows how bitter that is. “I had practically no youth, my youth was surrounded by violence, it was the Algerian war,” he confessed, still dismayed, emphasizing that “the death of [tonton] Raymond was a big blow to me and I feel it until now, he has been present in my life all the time, even now from where he is. And he added in a trembling voice: “When you know that you have nowhere to go back, the shock is double, triple, quadruple.” When we know that we don’t have the memories that we had, that we carry in our hearts If we can’t experience it again, it’s too difficult, it’s a first death.”

Enrico Macias, who does not seem to be unduly affected by the deaths of hundreds of Palestinians, claimed hypocritically – his insincerity is confirmed – that “the peace that I have been singing about since my beginnings, this peace, I see it, it is there.” Move. Despite all the wars, all the violence, I am optimistic, even at the moment I am still optimistic, because one day people will wake up and say to themselves: “But what we are doing is stupid.” Was he talking about Zionist unity? We could have believed it, until this umpteenth pro-Israel statement, which contrasts with his “certainty” that “there will be peace between the Israelis and the Palestinians.” “My heart goes out to the Israelis and the Palestinians, to all people, whether Palestinian or Israeli, Jew, Muslim, Christian or Buddhist, we all have a heart, we all have feelings,” he falsely said.